After about 5 minutes you and your friends made it once again backstage with prizes and galore, which you all placed on a speaker near all your instruments. Noticing less people backstage then it was two hours ago. You also notice your drumsticks were missing.

"Uh guys, did the two of you take my sticks?"
"What, no why?" Jamie asked looking at you concerningly
"Did some take them?"
You started to panic
"I-i hope not-"
"Y/n, calm down maybe you left them in kattys car." Jamie said placing a gentle hand on your shoulder

"Y-yeah, yeah maybe." Your voiced shaked as you pick at your lip, it was a bad habit.

"Im gonna go check-" you said turning around quickly and ran off

"Y/n wait!" Katty yelled
your steps echoing underneath the floor boards as your familiar form disappeared within the crowd
Katty sighed heavily, looking around for someone to speak to about your guy's situation. jamie watched you leave, concern still on his face.

You ran and dodge people trying to head to the parking lot but with so many people it was hard seeing where you were.
You stopped quickly and looked around trying to find the ferris wheel to determine where you are, you looked up to see it far away, its glowing lights mocked you as you realized were on the other side of the pier. Your breathing became hitch at every intake and burned every time it left. You were lost. Peoples laughing and joyfulness became more quite, as your mind began to fog, you felt so uncomfortable with all these people around you, like all eyes were on you, attached to your skin like bugs, no matter how much you scratch they were still there, marking you.
You wrapped your arms over your chest digging your nails into your skin, making sure it left pain, maybe enough to snap you out of this moment.

You were hesitant to move, but quickly turned around, you were going to try to go the way you came, maybe katty a Jamie can play without you-


You felt yourself run into someone and immediately fall back on your ass.
With a thud and more air knocked out of you, the anxiousness in your heart increased ten fold, feeling it almost thrown up out of your heart.
But even with your internal situation you quickly stood up and apologized to the person you ran into, frantically shaking your hands and head, and sputtering out words.
"I-im so sorry, i didnt m-mean too, i wasn't watching where i was going-"
Looking up at the poor person you ran into, you were surprised to be met with piercing blue eyes, being like a snowgrave, it sent shivers down your spine and sustained your anxiety rush. That was because your heart stopped completely.

The stranger gave you a playful smile, blonde shaggy hair falling onto his face.

"Calm down puppy, its okay. I don't first." He said with a wink, still holding his smile.

Now usually you'd find someone like this and run, but honestly you were to frightened too, let alone confused by the name he gave you.

"P-puppy?" You asked looking at the tall blondie in front of you tilting your head with curiousness.

"See! You have the energy and curiosity of one!" He said giggling a bit afterwards.

Suddenly the ice in his eyes melted, as did your fears.
The sound of the world came back to you, as did the joyfulness.

"I like your shirt, did you make it? Do you play guitar? What can you play? Can you even play?Oh! What your favourite band?" Asked the blondie a mile a second.
"U-uh..." You scratched the back of your neck trying to wrap your brain around the second question and all the others.

Inserted here: materials data >
+++
Record 1
PuAl3Pd2 after structural relaxation, computed with PBE.

Summary:
symmetry = P6/mmm, No. 191
E_form = -676 meV/atom
VASP energy = -6.654 eV per atom

Geometry as POSCAR:
```
PuAl3Pd2
1.0
0.1024 2.3462 -4.9187
-4.3988 -2.7957 1.5949
-1.6335 3.5046 1.6377
Pu Al Pd
1 3 2
Direct
0.0000 0.0000 0.0000 Pu
0.5000 0.0000 0.5000 Al
0.0000 0.5000 0.5000 Al
0.5000 0.5000 0.5000 Al
0.3333 0.6667 0.0000 Pd
0.6667 0.3333 0.0000 Pd
```

=====

Record 2
NaTl3S2 after structural relaxation, computed with PBE.

Summary:
E (MP2020) = -20.62 eV/f.u.
symmetry = Pmc2_1, No. 26
E_form = -655 meV/atom
VASP energy = -3.268 eV per atom

Geometry as POSCAR:
```
NaTl3S2
1.0
-3.2979 2.7396 0.2286
-3.5082 -3.7918 -5.1700
-5.2449 -7.0416 8.7235
Na Tl S
2 6 4
Direct
0.7500 0.5758 0.1090 Na
0.7500 0.0758 0.3910 Na
0.2500 0.5937 0.3670 Tl
0.2500 0.0937 0.1330 Tl
0.7500 0.4009 0.6219 Tl
0.7500 0.9009 0.8781 Tl
0.2500 0.4315 0.8725 Tl
0.2500 0.9315 0.6275 Tl
0.2500 0.7502 0.0204 S
0.2500 0.2502 0.4796 S
0.7500 0.2480 0.9998 S
0.7500 0.7480 0.5002 S
```

=====

Record 3
Li2SnB2O6 after structural relaxation, computed with PBE.

Summary:
E (MP2020) = -78.06 eV/f.u.
symmetry = P-1, No. 2
E_form = -2471 meV/atom
VASP energy = -6.722 eV per atom

Geometry as POSCAR:
```
Li2SnB2O6
1.0
0.6225 -0.5167 -5.0689
-1.1636 -6.5956 0.5996
-7.1717 3.7981 -1.2922
Li Sn B O
4 2 4 12
Direct
0.8179 0.0747 0.8981 Li
0.6309 0.2149 0.5969 Li
0.3691 0.7851 0.4031 Li
0.1821 0.9253 0.1019 Li
0.8790 0.4237 0.2514 Sn
0.1210 0.5763 0.7486 Sn
0.8561 0.8136 0.5504 B
0.6715 0.6563 0.8865 B
0.3285 0.3437 0.1135 B
0.1439 0.1864 0.4496 B
0.8978 0.2674 0.4207 O
0.7555 0.4625 0.7784 O
0.8756 0.7972 0.9472 O
0.7280 0.6980 0.3958 O
0.7447 0.9822 0.6580 O
0.5888 0.2951 0.0819 O
0.4112 0.7049 0.9181 O
0.2553 0.0178 0.3420 O
0.2720 0.3020 0.6042 O
0.1244 0.2028 0.0528 O
0.2445 0.5375 0.2216 O
0.1022 0.7326 0.5793 O
```

=====

Question: Which of these has the highest E_form?
Answer: NaTl3S2

=====

Question: Look up the E_form of the first one.
Answer: -676 meV/atom

=====

Question: E_form of number 3 (Li2SnB2O6)?
Answer: -2471 meV/atom

=====

Question: Among the records above, which one has the highest E_form?
Answer: NaTl3S2

~~~~~

The following is a DFT calculation (PBE-GGA) of a geometry-optimized WBr6 structure.

POSCAR file:
```
WBr6
1.0
3.4867 2.0130 6.2627
-3.4867 2.0130 6.2627
0.0000 -4.0261 6.2627
W Br
1 6
direct
0.0000 0.0000 0.0000 W
0.0806 0.7835 0.3642 Br
0.2165 0.6358 0.9194 Br
0.3642 0.0806 0.7835 Br
0.6358 0.9194 0.2165 Br
0.7835 0.3642 0.0806 Br
0.9194 0.2165 0.6358 Br
```

Summary:
**Formation energy from the elements**: -0.935 eV/atom

~~~~~
+++
Back to the piece >

"Y/n!!" You look behind you to see katty running twords you guitar behind her back.
"Y/n! Are you okay? Are you hurt? Oh, what were you thinking running off! You scared the shit out of me and jamie! Come on, i talked to the sign up lady to put us as the last song,she also said they have backup drumsticks, lets get you to jamie." Katty then forcefully took you your hand and dragged you away from the tall blondie.

You looked back to see him wave at you.
"Bye puppy." He said, his eyes freezing over once more with a icey stare. You tensed again but still waved goodbye at the stranger, feeling katty tug at you.


After katty had found you and taken you back to Jamie they both bombarded you with questions, which made you anxious but you still answered the best you could.
Telling them what happened, katty didn't like the stranger calling you pet names without knowing you, jamie didnt like that you ran off so far, they both didnt like the fact you clawed at yourself, and scolded you about it, but in the end gave you tight hugs.

"Are you sure you'll be able to go onstage, we can go home if you want." Katty said holding her guitar.
"Yeah like i said, im fine now, ill just do what you said earlier and go batshit." You said with a shit eating smile as you tapped the symbols with your new drumsticks

She gave you an equally shit eating smile.

"Im glad your feeling better n/n, how about we go eat after this if you want, my treat."

You nodded "that'd be nice."

A very loud Applause was heard from the crowed infront of the stage, you can tell everyone was here now, the pier was almost empty.

"Alright, alright ladies and gentlemen, are you ready for our last contestants?"
Everyone screamed and cheered, a few "woo-hoos!" And whistles can be herd.
"Okay then lets give it up for canine teeth playing us 'tommy the cat'!!" The sign up lady and crowd applauded and yelled louder than ever.

"You ready y/n?" Jamie asked as him and katty both put their hands behind Your back.
"Yeah.." You weakly smiled at them.
They nodded and headed on stage with their guitars, your drums were already onstage so all you had to do was follow them.

Walking on stage you immediately felt your heart in your throat, but you ignored it, running your hand threw your hair and shaking it, letting your hair cover your face.

The crowd got quite as they heard katty tune her guitar a bit before taking one single strum, neon lights blared on us making our natural colors disapear, as Jamie started with that one line.

"Say baby, do you wanna lay down with me? I say baby do you wanna lay down me, i say baby, SAY BABY!!

And with that you banged against the drums as hard as you could, headbanging as hard, but easily as you could, in the corner of your eye you could see katty and jamie doing the same thing, strumming and sining as hard as they could. It made you smile forgetting about the crowd in front of you, even though everyone was screaming bloody murder.

Your hair went along with your head but slowly started to attach to your face as you began to sweat, but you didnt care you smiled as katty strummed her guitar perfectly as jamie sang his heart out. You smiled. You were happy. Not a care in the world at this moment.

But little did you know you got the attention of a certain pair of icey blue eyes, and 4 more.


Somebody's watching me [lost boys x reader]Unde poveștirile trăiesc. Descoperă acum